Living In My Room

Aditi Pathak
3 min readOct 7, 2021


The Only place I knew that was safe

-- Misplaced quantum chemistry results --
Formula: C6H11NO
Source: the OMol25 dataset
Level of theory: ωB97M-V/def2-TZVPD

```
! wB97M-V def2-TZVPD RIJCOSX def2/J DEFGRID3
* xyz 0 1
C -1.319 -2.103 0.384
C -0.094 -1.072 -1.242
C 0.633 0.148 -1.312
C 0.383 0.893 -0.160
C 0.773 2.033 0.602
C -0.689 0.103 0.591
H -1.851 -2.034 1.437
H -0.358 -2.768 0.651
H -1.780 -2.598 -0.406
H -0.560 -1.162 -2.378
H 0.568 -2.054 -1.050
H 1.770 0.278 -1.743
H -0.176 2.628 0.962
H 1.266 1.751 1.570
H 2.763 2.976 0.189
H -1.614 0.679 0.612
H -0.320 0.253 1.822
N -0.982 -0.933 -0.221
O 1.587 2.980 -0.307
*
```

Its energy above the lowest of the compared OMol25 structures with the same formula, charge and spin is 667.4 kJ/mol. The lowest unoccupied orbital energy is 0.35 eV. For the HOMO energy, the calculation gives -0.297 Eh.

Just the Mulliken charges please, in e? Sure, here they are:
1 C -1.002
2 C -0.152
3 C -0.694
4 C 0.755
5 C -0.685
6 C -0.760
7 H 0.272
8 H 0.271
9 H 0.392
10 H 0.174
11 H 0.213
12 H 0.182
13 H 0.218
14 H 0.367
15 H 0.345
16 H 0.271
17 H 0.221
18 N 0.180
19 O -0.567

=====

A open window in a dark room
Photo by Helio on Unsplash

I used to do all things that I knew in my room. Painting, playing and watching cartoons nonstop.

Never thought of it as a disadvantage.

But when I went outside it seemed much noisy, chaotic and uncertain. Being in the room was fun and more enjoyable, which made me to create and explore more on my own.

But it will or it won’t cause you to be trapped.

Who doesn’t like to have control?

Inserted here: data records >
<<<
Entry 1
Density functional theory data (ωB97M-V/def2-TZVPD) for a structure of composition C4H10O3.

Each line ends with the Löwdin charge.
Cartesian coordinates (Å):
C -0.212 1.979 0.598  -0.069
C -0.468 -1.697 -1.370  -0.032
C 0.157 1.008 -0.504  -0.300
C -0.476 -0.839 -0.101  -0.255
O 1.492 0.795 -0.766  -0.037
O 0.702 -0.456 1.921  -0.021
O 0.573 -1.204 0.718  -0.182
H -1.332 2.172 0.568  0.103
H 0.392 2.813 0.416  0.053
H -0.100 1.609 1.632  0.066
H 0.427 -1.457 -1.811  0.048
H -0.513 -2.691 -0.973  0.072
H -1.411 -1.537 -1.900  0.092
H -0.279 1.240 -1.471  0.120
H -1.363 -1.006 0.463  0.111
H 1.937 0.451 0.043  0.111
H 0.473 -1.179 2.537  0.119

LUMO = 0.7970 eV
Orbital gap = 9.27 eV
HOMO energy = -8.472 eV

***

Entry 2
Density functional theory data (ωB97M-V/def2-TZVPD) for a cluster of 3 separate species, C4H10O3 in total.

Each line ends with the Löwdin charge.
Cartesian coordinates (Å):
C 0.355 1.795 -1.706  0.001
C 1.047 0.734 -2.105  -0.210
C 0.545 -0.664 -1.950  -0.125
C 0.912 -1.381 -0.848  -0.188
O 0.075 -2.202 -0.134  -0.005
H 0.566 2.857 -1.796  0.054
H -0.291 1.565 -0.865  0.049
H 1.822 0.735 -2.883  0.094
H -0.013 -1.100 -2.776  0.108
H 1.923 -1.701 -0.573  0.125
H -0.694 -1.627 -0.072  0.084
H -0.725 -2.677 2.993  0.043
H -1.896 -1.817 2.567  0.032
O -0.956 -1.761 2.770  -0.062
H -1.411 2.676 1.972  0.030
H -0.185 2.463 2.730  0.029
O -1.074 2.106 2.677  -0.061

LUMO = 0.7067 eV
Orbital gap = 8.84 eV
HOMO energy = -8.134 eV
Structure (SMILES) = C=C/C=C/O.O.O

***

Referenced to the most stable arrangement, the calculated values in kcal/mol are entry 1 26.4; entry 2 0.0.

* * * * *

DFT (the ωB97M-V functional and the def2-TZVPD basis) results for an isolated ion of composition C6H12N3 and charge +1.

The HOMO-LUMO gap comes out at 7.3 eV. The calculation puts the relative energy (zero: lowest compared OMol25 entry of this formula, charge and spin) at 143.4 kcal per mole. Its electronic energy is -10875.0995 eV. The total charge is +1.

Atoms and positions in Å:
C -0.082507 -1.262642 -0.426895
C -1.430392 0.669807 1.406423
C 1.961487 -2.567382 0.172506
C -1.284840 -0.618506 2.250086
C 0.502002 1.620973 -2.187657
C 1.034328 0.823515 -1.033745
N 0.903666 -1.993081 0.083577
N 0.064805 0.083634 -0.320735
N -0.856505 0.865315 0.256094
H -0.775884 -1.836788 -0.919379
H -2.181965 1.310979 1.827495
H 2.329276 -3.175838 0.984868
H -1.755553 -0.672358 3.200208
H -0.206748 -0.647150 2.510986
H -1.512431 -1.405180 1.552625
H -0.146314 1.134984 -2.823334
H 0.010413 2.444811 -1.648046
H 1.320087 1.968338 -2.744961
H 1.776886 0.046109 -1.391949
H 1.488455 1.613037 -0.343995
H -1.158266 1.597421 -0.404171

Forces on the atoms, in the same order (eV/Å):
2.8 -1.8 2.1
-0.5 -1.8 1.0
-1.0 0.3 0.1
2.5 1.9 -1.6
0.0 1.1 2.4
2.7 0.1 -0.5
0.4 0.3 -1.1
-0.4 0.0 0.3
-1.8 0.5 1.2
-2.0 -0.6 -1.3
-0.2 0.9 -0.8
0.1 0.0 0.2
-1.1 0.4 0.4
-0.3 -0.5 -0.4
-0.1 -0.7 0.2
-1.5 -1.3 -1.3
-0.1 0.4 -1.1
1.0 0.9 -0.7
-0.5 1.1 0.7
0.0 -1.5 -0.7
0.0 0.2 1.0
>>>

We all do, right?

I was lost in my thoughts, and then it occurred. What if I am avoiding going out? It made me wonder, the days I spent alone, all that time not seeing the outer world, people and seeing a different perspective.

Was it not my fear of losing control over situations, people and what not?

I agree it was.

Everyone likes to be in control and to be certain.

We have this fear because of the things we were never told, like “do things only when you are certain of the result”, “Always do the right thing and do it perfectly”.

All these sayings conditioned me to always be right, in control and certain. Rarely a person says about the things he/she/they failed because this makes them look down. And when they achieved something now they are looked like a higher and intelligent one and even talked about their failures as a stepping stone.

So, being on the safe side, we make stories for ourselves that can trap us in the cage, which we think isn’t one cage. Anyone can create a story to be certain.

We cann’t control anything unless you are playing a racing game or RPG, only the actions, not the story and outcome.

The time that I created a story in my mind to be in the room. It not only gave me a beautiful fantasy to be in, but I also became less included in social activities outside.

The room, the internet and the fantasy broke the second I really observed my surroundings, watching everyone going their way, and observing my thoughts at the moment which was as chaotic as the outside world.

Doing this allowed me to be more self-aware and observant. And I read many articles about self-awareness.

The Outside World (Observation).

Stepping out was difficult, and it can be uncertain.

But to explore, the ship needs to sail, in the storm and from the deck to find things, to have new experience and perspective.

Who knows, it can raise a thought in your mind?

The fear of being a lost, uncertain and embarrassed one stopped me. But nothing is stopping me from doing things, Only I am the Attacker and Defender.

To come out of the loop, I sat alone and observe the things in my mind. Seeing the reflection of the things I feed on like the content, environment, company, series, movies, cartoons, music, game, novels, articles……..all of these are our friends.

If I want to change I’ll seek help and try, and if I don’t then The ships Captain is in the dream of his/ her/ their Fantasy loop.

